_Work order_
Give back every line further down that contains the word "Al1".

_Given_
No. 1
Starting from a cell relaxed with GGA-PBE, the PXRD pattern of KBe2Cd2P3 was simulated for λ = 1.5418 Å (Cu Kα).
Kinematic intensities with the Lorentz-polarization factor, no thermal factor.

Structural model:
```
data_KBe2Cd2P3
_chemical_formula_sum 'K3 Be6 Cd6 P9'
_cell_length_a 4.2387
_cell_length_b 4.2387
_cell_length_c 32.7493
_cell_angle_alpha 90.00
_cell_angle_beta 90.00
_cell_angle_gamma 120.00
_space_group_name_H-M_alt 'R -3 m'
_space_group_IT_number 166
_space_group_name_Hall '-R 3 2"'
loop_
_atom_site_label
_atom_site_type_symbol
_atom_site_fract_x
_atom_site_fract_y
_atom_site_fract_z
K1 K 0.0000 0.0000 0.0000
Be1 Be 0.0000 0.0000 0.1973
Cd1 Cd 0.0000 0.0000 0.4178
P1 P 0.0000 0.0000 0.2628
P2 P 0.0000 0.0000 0.5000
```

Largest 6 diffraction maxima, by intensity, 10 to 90 degrees two-theta:
- 2θ = 16.2°, intensity 100, hkl 0 0 6
- 2θ = 24.4°, intensity 99, hkl 1 0 1
- 2θ = 31.0°, intensity 84, hkl 1 0 7
- 2θ = 42.7°, intensity 83, hkl 1 1 0
- 2θ = 27.9°, intensity 72, hkl 0 1 5
- 2θ = 54.8°, intensity 58, hkl 1 1 12

---

No. 2
Starting from a cell relaxed with GGA-PBE, the PXRD pattern of Ta2AlGaPt2 was simulated for λ = 1.5418 Å (Cu Kα).
Kinematic intensities with the Lorentz-polarization factor, no thermal factor.

Structural model:
```
data_Ta2AlGaPt2
_chemical_formula_sum 'Ta8 Al4 Ga4 Pt8'
_cell_length_a 10.4957
_cell_length_b 4.2835
_cell_length_c 10.4972
_cell_angle_alpha 90.00
_cell_angle_beta 109.45
_cell_angle_gamma 90.00
_space_group_name_H-M_alt 'P 1 m 1'
_space_group_IT_number 6
_space_group_name_Hall 'P -2y'
loop_
_atom_site_label
_atom_site_type_symbol
_atom_site_fract_x
_atom_site_fract_y
_atom_site_fract_z
Ta1 Ta 0.0000 0.0000 0.0000
Ta2 Ta 0.1240 0.5000 0.3749
Ta3 Ta 0.2499 0.0000 0.7502
Ta4 Ta 0.3749 0.5000 0.1242
Ta5 Ta 0.4989 0.0000 0.5009
Ta6 Ta 0.6240 0.5000 0.8752
Ta7 Ta 0.7494 0.0000 0.2486
Ta8 Ta 0.8752 0.5000 0.6256
Al1 Al 0.2500 0.0000 0.2502
Al2 Al 0.6245 0.5000 0.3753
Al3 Al 0.7496 0.0000 0.7496
Al4 Al 0.9989 0.0000 0.4998
Ga1 Ga 0.1243 0.5000 0.8752
Ga2 Ga 0.3745 0.5000 0.6245
Ga3 Ga 0.4998 0.0000 0.0006
Ga4 Ga 0.8749 0.5000 0.1251
Pt1 Pt 0.1271 0.5000 0.1271
Pt2 Pt 0.2468 0.0000 0.4981
Pt3 Pt 0.3742 0.5000 0.8744
Pt4 Pt 0.4998 0.0000 0.2526
Pt5 Pt 0.6266 0.5000 0.6254
Pt6 Pt 0.7498 0.0000 0.9971
Pt7 Pt 0.8736 0.5000 0.3764
Pt8 Pt 0.9983 0.0000 0.7485
```

Largest 6 diffraction maxima, by intensity, 10 to 90 degrees two-theta:
- 2θ = 42.2°, intensity 100, hkl 4 1 0
- 2θ = 25.5°, intensity 75, hkl 1 1 1
- 2θ = 49.9°, intensity 37, hkl 5 0 1
- 2θ = 77.1°, intensity 34, hkl 4 3 0
- 2θ = 61.2°, intensity 17, hkl 4 0 4
- 2θ = 67.4°, intensity 15, hkl 5 2 1

---

No. 3
Starting from a cell relaxed with GGA-PBE, the PXRD pattern of NpH16N4F8 was simulated for λ = 1.5418 Å (Cu Kα).
Kinematic intensities with the Lorentz-polarization factor, no thermal factor.

Structural model:
```
data_NpH16N4F8
_chemical_formula_sum 'Np4 H64 N16 F32'
_cell_length_a 12.7496
_cell_length_b 6.3826
_cell_length_c 12.5442
_cell_angle_alpha 90.00
_cell_angle_beta 117.70
_cell_angle_gamma 90.00
_space_group_name_H-M_alt 'C 1 2/c 1'
_space_group_IT_number 15
_space_group_name_Hall '-C 2yc'
loop_
_atom_site_label
_atom_site_type_symbol
_atom_site_fract_x
_atom_site_fract_y
_atom_site_fract_z
Np1 Np 0.0000 0.0600 0.2500
H1 H 0.0612 0.3396 0.4917
H2 H 0.1073 0.4809 0.1071
H3 H 0.1167 0.2625 0.6363
H4 H 0.1712 0.1265 0.0189
H5 H 0.2045 0.0420 0.1593
H6 H 0.2050 0.2866 0.8576
H7 H 0.2081 0.3649 0.5877
H8 H 0.2111 0.4603 0.4033
N1 N 0.1232 0.3739 0.5794
N2 N 0.2405 0.0861 0.1031
F1 F 0.0597 0.2788 0.1472
F2 F 0.0633 0.1972 0.8888
F3 F 0.1587 0.2129 0.3963
F4 F 0.1654 0.0845 0.7499
```

Largest 6 diffraction maxima, by intensity, 10 to 90 degrees two-theta:
- 2θ = 16.0°, intensity 100, hkl 0 0 2
- 2θ = 19.9°, intensity 45, hkl 1 1 -2
- 2θ = 16.4°, intensity 31, hkl 2 0 -2
- 2θ = 15.7°, intensity 29, hkl 2 0 0
- 2θ = 25.7°, intensity 26, hkl 3 1 -2
- 2θ = 25.1°, intensity 26, hkl 1 1 2

---

No. 4

_Reply_
Al1 Al 0.2500 0.0000 0.2502